Filter the block underneath: keep the lines with the word "functional", please.
{"formula": "C4H5NO", "method": "the ωB97M-V functional and the def2-TZVPD basis", "gap_ev": 8.558, "fmax_ev_per_a": 0.37, "total_energy_ev": -7763.609, "total_charge": 0, "de_lowest_kcal_mol": 67.3, "symbols": ["O", "C", "N", "C", "C", "C", "H", "H", "H", "H", "H"], "positions_angstrom": [[-0.342717, -0.781548, 2.210960], [-0.162755, -0.401714, 1.073271], [-0.281062, 0.876702, 0.603402], [-0.038200, 0.986933, -0.820897], [0.270853, -0.371649, -1.362204], [0.257462, -1.226634, -0.147874], [-0.582421, 1.628936, 1.203353], [0.801710, 1.655042, -1.071882], [-0.905936, 1.368606, -1.381487], [1.296619, -1.578263, -0.037709], [-0.313552, -2.156409, -0.268934]], "forces_ev_per_a": [[0.0377, 0.1054, -0.3485], [-0.0082, 0.0379, 0.0698], [-0.0288, -0.0781, 0.2114], [0.0238, -0.1373, -0.1240], [-0.0691, 0.1050, 0.3441], [-0.0600, 0.0020, -0.0937], [0.0547, -0.0895, -0.0613], [-0.1145, -0.1113, -0.0221], [0.1148, -0.0317, 0.0252], [-0.0411, 0.0333, 0.0189], [0.0907, 0.1643, -0.0199]]}
{"formula": "C4H5NO", "method": "the ωB97M-V functional and the def2-TZVPD basis", "gap_ev": 8.558, "fmax_ev_per_a": 0.37, "total_energy_ev": -7763.609, "total_charge": 0, "de_lowest_kcal_mol": 67.3, "symbols": ["O", "C", "N", "C", "C", "C", "H", "H", "H", "H", "H"], "positions_angstrom": [[-0.342717, -0.781548, 2.210960], [-0.162755, -0.401714, 1.073271], [-0.281062, 0.876702, 0.603402], [-0.038200, 0.986933, -0.820897], [0.270853, -0.371649, -1.362204], [0.257462, -1.226634, -0.147874], [-0.582421, 1.628936, 1.203353], [0.801710, 1.655042, -1.071882], [-0.905936, 1.368606, -1.381487], [1.296619, -1.578263, -0.037709], [-0.313552, -2.156409, -0.268934]], "forces_ev_per_a": [[0.0377, 0.1054, -0.3485], [-0.0082, 0.0379, 0.0698], [-0.0288, -0.0781, 0.2114], [0.0238, -0.1373, -0.1240], [-0.0691, 0.1050, 0.3441], [-0.0600, 0.0020, -0.0937], [0.0547, -0.0895, -0.0613], [-0.1145, -0.1113, -0.0221], [0.1148, -0.0317, 0.0252], [-0.0411, 0.0333, 0.0189], [0.0907, 0.1643, -0.0199]]}